“FYI: For Your Information,” New Era, Jan. 1989, 40–43
For Your Information
Fun and Games
Doesn’t it sometimes seem like your stock of ideas for parties is just about used up? Aren’t you tired of renting videos with your friends? Try some of these creative ideas next weekend, and then you’ll be ready to think up some of your own.
Make your own “band” with kazoos, combs and wax paper, pots and pans, and spoons. Rehearse a few numbers and go serenade some friends, your bishop and his wife, or your seminary teacher.
Create some crazy cookies. Have everyone in the group add an ingredient from his favorite cookies into one batch. You’ll either come up with the greatest cookie ever, or a close replica of your clay projects from kindergarten!
Play games that you remember from your childhood, like tiddledywinks, hopscotch, marbles, or jacks. Let the winners go first in line for a favorite kids’ snack: cookies and milk.
Record your group singing, telling jokes, and just talking. Fill up the whole tape, and then send it to a friend who’s away at school and might be a little homesick.
Have a pancake party. Make the pancakes in different shapes, like initials, fish, or Mickey Mouse. Top with unusual things, like ice cream and hot fudge, or peanut butter and jelly. For an even sillier activity, try to eat your creation with a spatula, pie server, or other kitchen utensil.
Rewrite a song you know with original lyrics, and include your masterpiece on a tape you make for a missionary friend, or just sing it to a nearby friend. Have the new words refer to things you shared. It’s a fun and personal message your friend will love.
Don’t stop at these ideas. Get your friends together and put on your creative thinking caps. Once you get going, you’ll never have to spend a weekend just watching videos again!
Outstanding Boy
Brett Townsend of the Austin Second Ward, Austin Texas Stake, knows how to pack a lot of activities into his days. He served as seminary president while working on his fourth year of perfect attendance. He also received a Youth in Religion Award from the state of Texas for his community involvement.
In addition, Brett served as captain of the soccer team and is an excellent musician. He plays piano, electric keyboard, and saxophone. He was also the drum major for his high school and was named Most Outstanding Drum Major at a marching band competition.
Brett is an Eagle Scout and maintains good grades while holding down a part-time job as a soccer referee.
Record Breaker
Ashleigh Foss, of Exeter Ward, Plymouth England Stake, set a new event record. Recently, students at Exmouth Community College were amazed to see him break the record in the annual 20-mile walk for charity. Ashleigh completed the course in just three hours and 15 minutes.
Ashleigh, 15, is a teacher in his ward. He gets in shape by running his paper route in the afternoon.
State President
Toni Anne Hamberg, of the Yakima Second Ward, Selah Washington Stake, was the first Yakima student to be elected Washington state president of the Future Homemakers of America.
Active in school, Toni is a cheerleader and on the drill team. She takes honors courses and is involved in helping younger girls through the Big Sister program.
In church, Toni has served as Mia Maid president and as a counselor in her Laurel class. Her openness about her belief in God and her enthusiasm about being a Latter-day Saint have influenced other youth positively.
Talented Two
Lisa and Lori Denning, of the Chula Vista First Ward, Chula Vista California Stake, are twins not only in looks but in leadership skills. Lisa served as student-body president, and Lori served as vice-president. Both are also on the honor roll, and have played soccer, volleyball, softball, and basketball for their school. Lori is president of the Model United Nations Club and Lisa is the captain of the varsity basketball team.
Both girls are in their fourth year of early-morning seminary.
One Day in Kelowna
by David Forbes
How much service can the youth of a stake provide in a single day? The youth and leaders of Canada’s Vernon British Columbia Stake donated about 500 man-hours in a five-hour project, providing some much-needed work on the grounds and facilities of a 28-acre Church-owned apple and pear orchard located in Kelowna. Smaller service projects had been organized in the past, but this was the first of such magnitude in the stake. In all, 150 youth and 40 leaders participated. In order to get to know one another, they were purposely grouped with people from different areas of the stake.
“It was a great opportunity for the youth to work shoulder to shoulder, some of them never having met before,” said Reg Olson, stake Young Men president.
Under the direction of Brother Val Purness, the volunteers surveyed a fence line, dug post holes, erected a fence around the orchard manager’s home, stained the new fence, demolished two old storage sheds, relocated and painted two outhouses, moved material and supplies to new storage sites, painted a large warehouse and built a barbecue pit and five picnic tables. A few young men were assigned to carry huge buckets of water to provide much-needed drinks in the sweltering heat.
The shade of 2,600 apple and pear trees provided welcome relief during the lunch break, and it was nice to relax and enjoy the beautiful scenery which surrounds the orchard.
Service was just part of a day full of activities, which also included a car rally through Okanogan City, miniature golf, and swimming, besides the two Ds—dining and dancing.
The project touched the hearts and strengthened the testimonies of the youth of the stake and provided them with a real sense of accomplishment.
Sixteen Eagles
Back when President Benson was a boy in Whitney, Idaho, Scouting was as much a part of life as farming. Things haven’t changed much in this community where 16 Scouts in the Whitney Ward were recently given their Eagle Scout Awards at one Court of Honor.
The Court of Honor was conducted just like a court of law, with Idaho Supreme Court Justice Robert E. Bakes presiding. Witnesses testified of the worthiness of the Eagle candidates, attorneys presented their cases, and the jury deliberated. Elder Thomas J. Fyans, foreman of the jury, said the verdict for the 16 boys was guilty of being trustworthy, loyal, helpful, friendly, courteous, kind, obedient, cheerful, thrifty, brave, clean, and reverent.”
• Inserted here: calculated crystals:
<<<
1.
Compound: Ho3NiSnIr2Pb2
Source: OQMD
Functional: PBE-GGA
Structure: relaxed

Output
Its crystal system is orthorhombic. The calculation puts the total energy at -54.152 eV/cell. The value obtained for the magnetization is 0.00 μB/cell.

a b c (Å): 3.754 7.691 7.691
angles (deg): 120.15 90.00 90.00
Fractional positions:
1 Ho 0.000 0.000 0.000
2 Ho 0.000 0.185 0.586
3 Ho 0.000 0.586 0.185
4 Ni 0.000 0.579 0.579
5 Sn 0.500 0.332 0.332
6 Ir 0.500 0.260 0.934
7 Ir 0.500 0.934 0.260
8 Pb 0.500 0.590 0.849
9 Pb 0.500 0.849 0.590

2.
Compound: Ho2TmNiIr2Pb3
Source: OQMD
Functional: PBE-GGA
Structure: relaxed

Output
Its crystal system is orthorhombic. The calculation puts the total energy at -52.964 eV/cell. The value obtained for the magnetization is 0.00 μB/cell.

a b c (Å): 3.736 7.723 7.723
angles (deg): 119.88 90.00 90.00
Fractional positions:
1 Ho 0.000 0.204 0.796
2 Ho 0.000 0.796 0.204
3 Tm 0.000 0.388 0.388
4 Ni 0.000 0.795 0.795
5 Ir 0.500 0.131 0.462
6 Ir 0.500 0.462 0.131
7 Pb 0.500 0.055 0.055
8 Pb 0.500 0.538 0.796
9 Pb 0.500 0.796 0.538

3.
Compound: YHo2NiIr2Pb3
Source: OQMD
Functional: PBE-GGA
Structure: relaxed

Output
Its crystal system is orthorhombic. The calculation puts the total energy at -54.962 eV/cell. The value obtained for the magnetization is 0.00 μB/cell.

a b c (Å): 3.745 7.753 7.753
angles (deg): 120.10 90.00 90.00
Fractional positions:
1 Y 0.000 0.000 0.000
2 Ho 0.000 0.405 0.811
3 Ho 0.000 0.811 0.405
4 Ni 0.000 0.406 0.406
5 Ir 0.500 0.072 0.738
6 Ir 0.500 0.738 0.072
7 Pb 0.500 0.146 0.406
8 Pb 0.500 0.406 0.146
9 Pb 0.500 0.664 0.664


Compound: Ta2BeAu
Source: Alexandria via LeMat-Bulk
Functional: PBE
Structure: relaxed

The space group is C2/m (No. 12) and the conventional cell measures 5.6157, 8.0006 and 2.8784 Å, with angles of 90.00, 90.15 and 90.00 degrees. The inequivalent atoms are Ta at (0.2500, 0.2500, 0.0000), Be at (0.0000, 0.0000, 0.5000) and Au at (0.0000, 0.5000, 0.5000).

The formation energy comes out at 0.11 eV/atom. The calculation puts the uncorrected energy at -7.57 eV/atom.
>>>
The Eagle recipients were Shawn Moser, 18; Jeremy Stone, 17; Stephen Milton Owen, 16; Chad Moser, 16; Curtis Poole, 15; Travis Porter, 15; Jason Sharp, 15; Ben Allred, 16; Robert M. Hull III, 15; Jon Anderson, 15; Eddie Dursteler, 16; John Spencer Palmer, 14; Leon Owen, 13; LaDaina Winward, 13; Benjamin Winward, 13; and Woodrow Miner, 13.
On Television
Erin Chase, 14, a Mia Maid in the Palos Verdes First Ward, Palos Verdes California Stake, appeared in a starring role on a television program entitled Aaron’s Way. She played the young daughter in an Amish farmer’s family that was trying to keep their old way of life after moving to a modern community in California.
Erin has been in several TV commercials and is the voice for the cartoon character Charlie Brown in a new animated feature for television.
Erin enjoys school, where science is her favorite subject. She likes participating in sports and getting together with her family and nieces and nephews.
Young Gymnast
Kari Keller, a Beehive in the Carson City Second Ward, Carson City Nevada Stake, recently won the Nevada All-Around Championship for gymnasts aged 12–14.
Kari has been practicing gymnastics since she was six and began competing five years ago. Each weekday, Kari attends junior high in Carson City in the mornings and then travels 30 miles to Reno, where she trains from 1:00 to 6:00 P.M. She still finds time to do homework and has earned nearly straight-A grades.
With a Song
Nick Bray of the Basildon Ward in Essex, England, has a head full of music and is working on getting it down on paper. He performs regularly and came in first in the Popular Singing section of the Pakefield Regional Convention.
Nick’s other hobbies include ice skating, swimming, and martial arts. “I’m really looking forward to my mission next year,” Nick said. “I had the blessing of baptising a member of my family a short while ago and am excited about the prospect of bringing others into the waters of baptism.”
Fleet of Foot
Between athletics and sharing the gospel, Caroline Lowry of Lisburn, Northern Ireland, is a very busy girl.
She attends a Quaker Grammar School and considers herself lucky “because each person there accepts all religions and has respect for different beliefs. I’ve found friends who have never heard of The Church of Jesus Christ of Latter-day Saints. I often bring friends to church and they love the activities.”
Caroline, a member of the Belfast Northern Ireland Stake, is as talented at sports as she is at sharing the gospel. She has run in many Northern Ireland championships. She runs for the Lisburn Athletic Club and came in third in the 800 meters in the Ulster Championships. She is also captain of her school’s hockey team.
Illustrated by Lilly Hong
Brett Townsend
Toni Anne Hamberg
Erin Chase with Merlin Olsen, star of Aaron’s Way.
Nick Bray